• Excerpt:
~~~
Diffraction record for LiNpBrCl4. The powder diffractogram is computed, not measured: it uses a structure optimized by DFT (GGA-PBE) and Cu Ka.
Lines closer than 0.1° are merged.

Structure:
Cell lengths 7.269, 7.269, 11.304 Å; angles 113.44, 113.44, 74.57 degrees
Fractional coordinates of all 14 atoms:
Li 0.187 0.187 0.326
Li 0.813 0.813 0.674
Np 0.457 0.457 0.790
Np 0.543 0.543 0.210
Br 0.316 0.316 0.938
Br 0.684 0.684 0.062
Cl 0.168 0.754 0.798
Cl 0.235 0.235 0.560
Cl 0.246 0.832 0.202
Cl 0.388 0.388 0.311
Cl 0.612 0.612 0.689
Cl 0.754 0.168 0.798
Cl 0.765 0.765 0.440
Cl 0.832 0.246 0.202

Most intense lines, 10 to 90 degrees two-theta, in order of falling intensity:
- d = 6.607 Å, intensity 100
- d = 4.403 Å, intensity 25
- d = 3.090 Å, intensity 18
- d = 2.817 Å, intensity 16
- d = 3.431 Å, intensity 16
- d = 2.859 Å, intensity 16
- d = 5.783 Å, intensity 16
- d = 2.204 Å, intensity 13
- d = 4.895 Å, intensity 13
- d = 2.763 Å, intensity 11
~~~
• Exercise:
It remains to transcribe the part of the lines further up that starts with the line with "intensity 100" and stops after the one with "2.204 Å,".
• Written answer:
- d = 6.607 Å, intensity 100
- d = 4.403 Å, intensity 25
- d = 3.090 Å, intensity 18
- d = 2.817 Å, intensity 16
- d = 3.431 Å, intensity 16
- d = 2.859 Å, intensity 16
- d = 5.783 Å, intensity 16
- d = 2.204 Å, intensity 13